Source:
~~~
ORCA calculation (the ωB97M-V functional and the def2-TZVPD basis) on the molecule C5H5NO in a non-equilibrium geometry.

The geometry in XYZ format:
```
12
Properties=species:S:1:pos:R:3:nbo_charge:R:1
O -2.5220 -0.4348 -0.3397 -0.695
N 2.3878 0.0203 0.5805 -0.552
C 2.1994 -1.1472 0.6346 0.311
C 1.6845 1.2078 0.2051 -0.144
C 0.5289 0.9265 -0.3614 0.045
C -0.2035 -0.1070 -0.7018 -0.175
C -1.2456 -0.7098 0.1965 -0.103
H -1.1277 -1.7992 0.2234 0.204
H -1.1337 -0.3415 1.2264 0.176
H -0.0373 -0.5889 -1.6641 0.232
H 2.1743 2.1401 0.4372 0.233
H -2.5978 0.5286 -0.3490 0.467
```

HOMO-LUMO gap	9.769	eV
LUMO level	-0.177	eV
total energy	-323.363335	hartree
relative energy (zero: lowest compared OMol25 entry of this formula, charge and spin)	410.5	kJ/mol
charge	0
molar mass	95.10	g mol⁻¹

----------

A 5-piece molecular cluster, C56H56ClFN2O17S4 overall at a distorted geometry, computed with the ωB97M-V functional and the def2-TZVPD basis.

Last column: Löwdin charge in e.
Positions of all 137 atoms, in Å:
Cl 5.098 -1.382 2.406  0.547
S 0.645 -0.098 -3.836  0.658
S -1.090 6.434 -0.418  0.767
S 0.436 3.616 1.748  1.013
S -1.018 0.619 1.322  1.076
F 0.979 -1.606 -3.619  -0.120
O -2.926 2.644 -4.783  0.111
O -3.628 -2.324 -0.464  0.066
O -3.093 -7.269 0.998  0.086
O 1.102 7.885 1.038  -0.029
O -0.369 -1.032 -9.805  0.107
O -0.887 5.844 2.886  -0.062
O 0.800 -1.903 10.176  0.135
O -6.239 -0.831 -2.543  0.096
O -0.704 -0.062 -4.273  -0.245
O 2.862 3.661 -6.511  0.106
O 1.735 2.397 -11.529  0.111
O 1.647 0.446 -4.685  -0.249
O 0.289 -1.994 8.034  0.017
O 0.530 -11.076 1.638  0.114
O 2.770 7.030 -0.152  0.153
O 3.180 -3.477 -6.728  0.112
O -1.020 5.083 4.972  0.166
N -4.173 -3.703 1.323  0.044
N 1.469 2.192 1.576  -0.300
C 0.113 0.889 -0.006  -0.416
C 0.096 -8.779 1.366  0.026
C 2.603 3.370 -7.659  -0.380
C -5.476 -0.039 -3.057  -0.379
C -4.294 -2.530 0.519  -0.492
C -0.588 4.964 3.874  -0.551
C 5.193 -0.429 3.917  -0.577
C -2.263 -8.143 1.144  -0.367
C -4.012 -0.111 -2.822  0.035
C -0.575 -0.155 9.432  0.010
C 2.638 4.390 -8.737  0.019
C 2.353 4.072 -9.997  0.020
C 1.145 7.100 2.258  -0.323
C 1.285 1.198 2.597  -0.311
C 0.227 -1.410 9.259  -0.541
C -0.109 0.344 -1.260  -0.040
C 0.442 -1.592 -9.099  -0.403
C 0.854 0.587 -2.240  -0.262
C 1.598 7.173 -0.014  -0.550
C 1.530 -1.807 -6.912  0.024
C 2.138 0.102 4.576  -0.155
C 2.239 1.982 -8.041  0.032
C -5.343 -1.541 0.944  0.007
C -1.312 -2.400 2.332  -0.203
C 1.994 1.341 -1.988  -0.021
C 1.954 1.665 -9.302  0.033
C -5.978 1.043 -3.942  0.018
C -0.196 7.097 2.983  -0.106
C 1.278 -2.704 -9.621  0.023
C -0.816 -7.823 1.204  0.024
C 0.892 -1.765 5.706  -0.093
C -2.659 -9.567 1.270  0.023
C -1.236 -1.496 3.575  -0.147
C -2.051 -3.717 2.619  -0.175
C 0.368 -1.068 6.946  -0.181
C 3.269 -0.035 5.562  -0.145
C 2.169 -3.320 -8.848  0.023
C 0.627 6.568 -0.998  -0.414
C -3.182 0.765 -3.385  0.012
C -1.749 -10.523 1.432  0.025
C 1.254 1.652 0.271  -0.316
C 2.259 1.055 3.572  0.024
C 2.366 -2.919 -7.431  -0.374
C -0.299 -10.206 1.492  -0.384
C 0.291 3.786 3.531  -0.320
C 4.333 -1.027 5.040  -0.234
C -3.681 1.847 -4.269  -0.375
C 0.639 -1.192 -7.684  0.014
C -0.006 -0.611 3.614  -0.150
C -2.799 -4.215 1.380  -0.222
C 2.205 1.878 -0.723  0.034
C 1.990 2.684 -10.380  -0.379
C 2.342 7.501 3.133  0.000
C 0.171 0.365 2.624  -0.363
C -5.147 1.917 -4.503  0.020
C 0.993 -0.722 4.600  -0.099
H -1.292 -2.101 4.469  0.093
H -7.049 1.076 -4.100  0.119
H 2.221 1.254 -7.239  0.101
H 2.712 1.483 -2.780  0.120
H 1.243 3.968 4.030  0.109
H -0.616 -0.655 6.713  0.134
H 2.905 5.395 -8.438  0.120
H 1.687 -1.525 -5.884  0.075
H 0.225 -2.570 5.430  0.111
H -5.491 2.713 -5.151  0.120
H 3.116 1.710 3.524  0.122
H 2.373 4.800 -10.798  0.121
H -2.110 0.733 -3.230  0.065
H 3.847 -1.902 4.620  0.086
H -5.034 -0.541 0.666  0.082
H -4.794 -4.408 0.941  0.134
H -0.331 -2.608 1.906  0.127
H 0.618 7.122 -1.931  0.083
H 1.119 -2.976 -10.657  0.123
H 1.890 -2.166 5.859  0.116
H -2.855 -5.302 1.430  0.072
H -3.720 -9.776 1.222  0.123
~~~

Request:
Your job: reproduce the lines above from the one with "3.847 -1.902" to the one with "0.082" exactly.

Reply:
H 3.847 -1.902 4.620  0.086
H -5.034 -0.541 0.666  0.082